FMMP's study area is contiguous with modern soil surveys developed by the US Department of Agriculture (USDA). A classification system that combines technical soil ratings and current land use is the basis for the Important Farmland Maps of these lands. Most public land areas, such as National Forests and Bureau of Land Management holdings, are not mapped.
The minimum land use mapping unit is 10 acres unless specified. Smaller units of land are incorporated into the surrounding map classifications. Beginning in 2000, SSURGO digital soil information was phased into the Important Farmland data and the 2016 data began to incorporate the new NRCS Gridded Soil Survey (gSSURGO). Data subsequent to 2000 may have acreage and soil line differences due to incorporation of newer NRCS-SSURGO or gSSURGO editions. Prior to the availability of SSURGO or gSSURGO, soil information was hand-transferred from the paper soil surveys. Older versions of the data have not been modified. The land use minimum mapping unit of ten acres has not changed, but digital soil units of less than one acre occur in the gSSURGO-enhanced Important Farmland data. The data between 2000 and 2014 incorporates SSURGO and the interaction of land use and soil components resulted in units of less than ten acres for categories such as Other Land (or Nonagricultural and Natural Vegetation). The 2016 data incorporates gSSURGO and will no longer merge resulting polygons less than one acre for any map category.
Government Code Section 65560 subd. (c) defines agricultural land as Prime Farmland, Farmland of Statewide Importance, Unique Farmland, Farmland of Local Importance, and Grazing Land. The remaining categories are used for reporting changes in land use as required for FMMP's biennial farmland conversion report. For environmental review purposes under CEQA, the categories of Prime Farmland, Farmland of Statewide Importance, and Unique Farmland constitute 'agricultural land' (Public Resources Code Section 21060.1).
Prime Farmland (P)
Farmland with the best combination of physical and chemical features able to sustain long term agricultural production. This land has the soil quality, growing season, and moisture supply needed to produce sustained high yields. Land must have been used for irrigated agricultural production at some time during the four years prior to the mapping date. More information on the definition of Prime Farmland the soils qualifying for Prime Farmland is also available.
Farmland of Statewide Importance (S)
Farmland similar to Prime Farmland but with minor shortcomings, such as greater slopes or less ability to store soil moisture. Land must have been used for irrigated agricultural production at some time during the four years prior to the mapping date. Download information on the soils qualifying for Farmland of Statewide Importance.
Unique Farmland (U)
Farmland of lesser quality soils used for the production of the state's leading agricultural crops. This land is usually irrigated, but may include nonirrigated orchards or vineyards as found in some climatic zones in California. Land must have been cropped at some time during the four years prior to the mapping date.
Farmland of Local Importance (L)
Land of importance to the local agricultural economy as determined by each county's board of supervisors and a local advisory committee. In some counties,
Confined Animal Agriculture (PDF) facilities are part of
Farmland of Local Importance (PDF), but they are shown separately.
Farmland of Local Potential (LP)
Farmland of Local Potential is a subcategory of Farmland of Local importance and aggregated with Farmland of Local Importance acreage in the land use conversion table. Four counties include Farmland of Local Potential, see definitions below.
- Glenn County: All lands having Prime and Statewide soil mapping units which are not irrigated, regardless of cropping history or irrigation water availability.
- San Luis Obispo County: Lands having the potential for farmland, which have Prime or Statewide characteristics and are not cultivated.
Santa Clara County: All lands having Prime and Statewide soil mapping units which are not irrigated, regardless of cropping history or irrigation water availability.
- Yolo County: Prime or Statewide soils which are presently not irrigated or cultivated.
Grazing Land (G)
**Attached: quantum chemistry results:**
/*
# 1
Molecular formula: C7H17NSi
Method: DFT, wB97M-V/def2-TZVPD

Geometry (Å):
C -2.691642 1.402132 0.261276
C -3.688011 0.578368 0.114821
C -3.528487 -0.922458 -0.096766
C -5.125316 1.027411 0.142343
C 3.832431 -0.144484 1.277402
C 4.339321 1.028770 -0.745016
C 0.889571 -1.361179 0.051379
N 3.336668 0.325849 0.010175
Si 1.665578 0.307395 -0.408263
H -1.628682 1.244262 0.268268
H -3.955109 -1.207076 -1.058319
H -2.478395 -1.205189 -0.082811
H -4.052343 -1.465745 0.687975
H -5.186899 2.107327 0.226803
H -5.644264 0.580433 0.988815
H -5.639128 0.717426 -0.765736
H 3.044336 -0.654023 1.827922
H 4.659542 -0.847061 1.118613
H 4.206811 0.686129 1.889261
H 4.698509 1.915666 -0.210140
H 5.196310 0.368530 -0.916781
H 3.939586 1.341205 -1.703826
H -0.109216 -1.431387 -0.367062
H 1.480372 -2.182250 -0.354350
H 0.802931 -1.511296 1.126710
H 1.580265 0.677539 -1.818216

Force components x, y, z for each atom (eV/Å):
0.250 -0.339 -0.052
-0.799 -0.413 -0.086
0.386 0.481 0.047
0.135 0.214 0.028
0.033 -0.064 0.073
0.100 0.067 0.010
0.264 0.120 -0.175
-0.224 -0.132 -0.199
-0.223 0.000 0.957
0.368 0.270 0.055
-0.055 -0.032 -0.032
0.017 -0.104 0.006
-0.054 -0.057 0.043
-0.091 0.107 0.021
-0.076 -0.068 0.069
-0.068 -0.052 -0.091
0.023 -0.041 0.095
-0.021 -0.002 0.102
-0.021 -0.056 0.047
0.039 0.030 -0.025
0.064 0.069 -0.087
0.011 0.057 -0.155
-0.191 0.038 -0.090
0.067 -0.092 -0.055
0.028 0.119 0.033
0.039 -0.119 -0.537

Summary:
energy relative to the best compared isomer or geometry (same formula, charge and spin) = 108.8 kcal/mol
molecular weight = 143.306 g/mol
charge = 0
E_LUMO (alpha / beta) = 0.00056 / 0.00052 Ha
E_HOMO (alpha / beta) = -8.8 / -6.5 eV

***

# 2
Molecular formula: C2H3BrClNO2S
Method: DFT, wB97M-V/def2-TZVPD

Geometry (Å):
C 1.422180 0.387948 -0.225246
C 0.215369 -0.194376 0.370975
N -0.116125 -1.551972 0.395501
O -1.225940 -1.836154 0.826671
O 0.697361 -2.262378 -0.133883
S -1.292886 0.542810 0.584013
Cl -1.008160 2.479068 0.156659
Br -4.071345 1.039287 -0.953649
H 2.343722 0.323396 0.410596
H 1.216750 1.341133 -0.524825
H 1.819069 -0.268759 -0.906813

Force components x, y, z for each atom (eV/Å):
1.036 -1.935 3.058
-0.997 1.165 0.010
1.074 1.098 -0.674
-0.455 -0.690 0.328
0.624 -2.006 -0.089
-1.100 0.403 0.541
0.474 0.392 0.008
0.254 -0.174 0.060
-1.015 0.668 0.491
-0.103 2.434 -1.044
0.207 -1.355 -2.690

Summary:
energy relative to the best compared isomer or geometry (same formula, charge and spin) = 48.6 kcal/mol
molecular weight = 220.475 g/mol
charge = 0
E_LUMO (alpha / beta) = -0.07813 / -0.12691 Ha
E_HOMO (alpha / beta) = -10.8 / -8.7 eV

***

# 3
Molecular formula: C3H9BS3
Method: DFT, wB97M-V/def2-TZVPD

Geometry (Å):
B -0.864571 0.381480 0.097141
C 0.150801 3.007199 0.056419
C 2.848328 -1.524304 0.392454
C -2.824456 -1.624447 -0.460212
S -1.393879 2.005700 0.225282
S 2.526776 0.103629 -0.304931
S -1.041355 -1.313803 -0.034120
H 0.917289 2.595176 0.705326
H -0.113902 4.018662 0.345661
H 0.478457 2.967620 -0.976536
*/
Land on which the existing vegetation is suited to the grazing of livestock. This category was developed in cooperation with the California Cattlemen's Association, University of California Cooperative Extension, and other groups interested in the extent of grazing activities.
Urban and Built-up Land (D)
### Someone pasted molecular data at this point
........
{
  "formula": "C11H29BrMnNO4",
  "method": "ωB97M-V with the def2-TZVPD basis set",
  "elements": ["H", "C", "H", "H", "H", "C", "C", "H", "H", "H", "O", "H", "C", "O", "H", "H", "H", "C", "H", "H", "Mn", "O", "H", "H", "N", "C", "O", "H", "H", "H", "H", "H", "H", "H", "H", "H", "H", "C", "C", "H", "C", "C", "H", "Br", "H", "H", "C"],
  "coordinates": [[4.16119, -1.62136, -2.26999], [1.01949, 3.35145, -2.61366], [3.55822, -0.17194, -3.10479], [-1.79687, -0.68121, 3.71843], [-1.12820, 0.39418, -0.59314], [-0.43886, 2.74029, 1.52301], [-2.87380, -1.57521, 1.67107], [1.67080, -1.37864, -3.55173], [1.25581, -1.09567, 3.13712], [0.72093, 1.04397, -0.30154], [1.48454, 2.02589, -2.86981], [0.41521, 3.42340, -1.70935], [-0.06351, 1.20932, 1.57746], [2.38991, -1.91095, -3.20373], [-0.08868, 1.58486, 3.78864], [0.73036, 1.47418, -3.08992], [-0.97390, -2.19421, 3.55300], [3.27154, -1.03896, -2.50965], [1.90810, 1.71373, 0.76289], [-3.37284, -1.07633, 2.50184], [-3.04352, 0.48962, -4.83944], [-1.76360, 0.68857, 0.06352], [-0.62366, -3.73990, -4.83614], [0.46354, 3.33053, 1.68235], [-1.24893, 0.37023, 1.28264], [-0.62647, -2.10452, 0.79299], [-1.35506, -3.69676, -4.22017], [-0.99643, 2.94680, 0.60946], [1.75037, 4.08929, -2.28276], [-0.44495, -3.06088, 1.28342], [0.38416, -1.80332, 0.51728], [-1.19787, -2.18170, -0.13203], [-2.91680, -2.64877, 1.85475], [2.92345, -0.71996, -1.52721], [-1.37267, -2.78412, -3.93206], [-3.41773, -1.37813, 0.74728], [0.55081, -0.60839, 4.60685], [-0.98488, -1.17004, 3.18009], [0.42521, 0.94457, 3.07167], [0.42144, 3.80625, -3.40335], [0.41403, -0.52459, 3.52872], [1.13336, 0.94934, 0.70297], [1.60728, -0.01250, 0.89885], [-0.98761, -0.35315, -3.32594], [1.48547, 1.14876, 3.22087], [-1.08743, 2.90373, 2.38367], [-1.34093, -1.09776, 1.65556]],
  "mulliken_charge": [0.305, -0.542, 0.247, 0.438, 0.383, -1.620, -1.548, 0.235, 0.324, 0.456, -0.309, 0.066, 1.438, -0.436, 0.433, 0.191, 0.483, -0.303, 0.482, 0.419, 1.199, -0.342, 0.333, 0.397, 0.504, -1.405, -0.561, 0.335, 0.318, 0.378, 0.297, 0.451, 0.411, -0.002, 0.267, 0.388, 0.449, -1.199, -1.068, 0.323, -0.752, -1.703, 0.318, -0.361, 0.343, 0.465, 1.076],
  "total_energy_ev": -122898.008,
  "total_charge": 2,
  "homo_ev": [-14.84, -14.84],
  "spin_multiplicity": 7,
  "homo_lumo_gap_ev": [3.87, 3.97],
  "lumo_energy_ev": [-10.96, -10.87]
}

~~~~~

Record 1
The following is a DFT calculation (ωB97M-V/def2-TZVPD) of an isolated molecule of C22H37N3O2.

Properties
ΔE to the lowest compared entry with this formula, charge and spin in kcal per mole: 39.8
E_LUMO in eV: 0.4
Energy in a.u.: -1175.1740
HOMO level in eV: -10.17
Net charge: 0
Gap between HOMO and LUMO in eV: 10.6
SMILES: CCCCCCCCCCCC[C@](C#N)(CCCCOC)[C@@H](C#N)N=C=O

Each line ends with the Mulliken charge.
Geometry (Å):
C -6.41617 3.33523 0.91439  -1.136
C -5.68928 2.54526 -0.18540  -0.307
C -6.12600 1.08261 -0.35014  -0.799
C -6.36552 0.30038 0.94359  -0.801
C -5.20658 0.29909 1.93989  -0.701
........
Land occupied by structures with a building density of at least 1 unit to 1.5 acres, or approximately 6 structures to a 10-acre parcel. This land is used for residential, industrial, commercial, construction, institutional, public administration, railroad and other transportation yards, cemeteries, airports, golf courses, sanitary landfills, sewage treatment, water control structures, and other developed purposes.
Other Land (X)
Land not included in any other mapping category. Common examples include low density rural developments; brush, timber, wetland, and riparian areas not suitable for livestock grazing; confined livestock, poultry or aquaculture facilities; strip mines, borrow pits; and water bodies smaller than forty acres. Vacant and nonagricultural land surrounded on all sides by urban development and greater than 40 acres is mapped as Other Land.
The Rural Land Mapping Project provides more detail on the distribution of various land uses within the Other Land category in eight FMMP counties, encompassing all the San Joaquin Valley counties. The Rural Land categories include:
- Rural Residential Land (R)
- Semi-Agricultural and Rural Commercial Land (sAC)
- Vacant or Disturbed Land (V)
- Confined Animal Agriculture (Cl)
- Nonagricultural or Natural Vegetation (nv)
Water (W)
Perennial water bodies with an extent of at least 40 acres.
Area Not Mapped (Z)
Area which falls outside of the NRCS soil survey. Not mapped by the FMMP.
Land Committed to Nonagricultural Use
This category was developed in cooperation with local government planning departments and county boards of supervisors during the public workshop phase of the FMMP's development in 1982. Land Committed to Nonagricultural Use information is available both statistically and as an overlay to the important farmland information. Land Committed to Nonagricultural Use is defined as existing farmland, grazing land, and vacant areas which have a permanent commitment for development.
Important Farmland Categories Links